Переклад англійською з японської: 催す
Словник: main
1 abide, accept, bear, brook, carry, confine, digest, endure, hold, hold back, keep back, put up, remain firm, restrain, retain, stand, stick out, stomach, suffer, support, take, take hold, tolerate.
2 accept, catch, experience, feel, find, get, have, incur, lose, meet, obtain, receive, submit, suffer, take.
3 accommodate, adjudge, admit, agree, apply, arrest, bear, bind, book, carry, check, concord, concur, confine, contain, control, curb, declare, deem, defend, defy, entertain, give, go for, guard, halt, harbor, harbour, have, have got, hold, hold back, hold in, hold up, keep, keep back, maintain, make, moderate, nurse, obligate, oblige, obtain, prevail, reserve, restrain, retain, support, sustain, take, take for, take hold, throw, view as, withstand.
4 acquit, bear, behave, carry, channel, comport, conduct, contain, convey, deport, dribble, expect, express, extend, gestate, have a bun in the oven, hold, impart, pack, persuade, post, run, stock, stockpile, sway, take, transmit, transport.
5 actuate, call for, cause, demand, egg on, exhort, expedite, get, hasten, have, hustle, incite, induce, invite, make, motivate, move, press, press out, prod, prompt, propel, stimulate, urge, urge on, weigh.
7 adjure, agitate, beseech, bid, campaign, compact, compress, conjure, constrict, contract, crusade, entreat, exhort, fight, iron, iron out, press, press out, push, squeeze, urge, urge on, weigh, weight-lift, weightlift.
8 admonish, bawl out, berate, call down, call on the carpet, censure, chew out, chew up, chide, criminate, dress down, encourage, exhort, have words, jaw, lambast, lambaste, lecture, press, rag, rebuke, remonstrate, reprimand, reproof, reprove, scold, take to task, trounce, urge, urge on.
11 agitate, egg on, entice, excite, exhort, fan, fire up, foment, heat, ignite, incite, inflame, inspire, instigate, lure, press, prod, prompt, set off, stimulate, stir, stir up, sweep, swing, swing out, tempt, urge, urge on, wake.
- - -
For Lu5Ga3, a DFT-relaxed cell (PBE, the Materials Project) gives the simulated XRD peak list in this record (Cu Ka).
Kinematic intensities with the Lorentz-polarization factor, no thermal factor.

Top 10 peaks for 2θ from 10° to 90°, low angle first:
- 2θ = 24.3°, d = 3.659 Å, I = 8, (2 0 0)
- 2θ = 25.4°, d = 3.513 Å, I = 9, (1 1 1)
- 2θ = 30.8°, d = 2.902 Å, I = 19, (1 0 2)
- 2θ = 32.4°, d = 2.766 Å, I = 23, (2 1 0)
- 2θ = 35.4°, d = 2.533 Å, I = 100, (1 1 2)
- 2θ = 36.8°, d = 2.439 Å, I = 19, (3 0 0)
- 2θ = 52.1°, d = 1.756 Å, I = 12, (2 2 2)
- 2θ = 54.8°, d = 1.677 Å, I = 17, (2 1 3)
- 2θ = 57.7°, d = 1.597 Å, I = 9, (4 1 0)
- 2θ = 58.3°, d = 1.583 Å, I = 13, (4 0 2)

Cell and atoms:
```
data_Lu5Ga3
_chemical_formula_sum 'Lu10 Ga6'
_symmetry_space_group_name_H-M 'P 63/m c m'
_symmetry_Int_Tables_number 193
_symmetry_space_group_name_Hall '-P 6c 2'
_cell_length_a 8.4499
_cell_length_b 8.4499
_cell_length_c 6.3226
_cell_angle_alpha 90.00
_cell_angle_beta 90.00
_cell_angle_gamma 120.00
loop_
_atom_site_label
_atom_site_type_symbol
_atom_site_fract_x
_atom_site_fract_y
_atom_site_fract_z
Lu1 Lu 0.0000 0.2414 0.2500
Lu2 Lu 0.3333 0.6667 0.0000
Ga1 Ga 0.0000 0.4012 0.7500
```

---

For Lu3Ga5, a DFT-relaxed cell (PBE, the Materials Project) gives the simulated XRD peak list in this record (Cu Ka).
Kinematic intensities with the Lorentz-polarization factor, no thermal factor.

Top 10 peaks for 2θ from 10° to 90°, low angle first:
- 2θ = 28.7°, d = 3.115 Å, I = 57, (2 2 1)
- 2θ = 30.7°, d = 2.910 Å, I = 46, (1 0 2)
- 2θ = 33.9°, d = 2.644 Å, I = 76, (3 2 1)
- 2θ = 35.4°, d = 2.537 Å, I = 48, (4 0 1)
- 2θ = 36.1°, d = 2.487 Å, I = 100, (1 2 2)
- 2θ = 37.2°, d = 2.415 Å, I = 77, (4 2 0)
- 2θ = 37.5°, d = 2.395 Å, I = 89, (0 4 0)
- 2θ = 38.4°, d = 2.344 Å, I = 83, (3 0 2)
- 2θ = 42.0°, d = 2.151 Å, I = 66, (1 3 2)
- 2θ = 54.8°, d = 1.675 Å, I = 37, (3 4 2)

Cell and atoms:
```
data_Lu3Ga5
_chemical_formula_sum 'Lu12 Ga20'
_symmetry_space_group_name_H-M 'P n m a'
_symmetry_Int_Tables_number 62
_symmetry_space_group_name_Hall '-P 2ac 2n'
_cell_length_a 11.1857
_cell_length_b 9.5818
_cell_length_c 6.0280
_cell_angle_alpha 90.00
_cell_angle_beta 90.00
_cell_angle_gamma 90.00
loop_
_atom_site_label
_atom_site_type_symbol
_atom_site_fract_x
_atom_site_fract_y
_atom_site_fract_z
Lu1 Lu 0.0721 0.2500 0.1521
Lu2 Lu 0.1470 0.5108 0.6109
Ga1 Ga 0.0073 0.2500 0.6275
Ga2 Ga 0.0913 0.5513 0.1275
Ga3 Ga 0.2006 0.7500 0.8933
Ga4 Ga 0.2503 0.2500 0.8234
```

=====

Structure and calculated powder XRD pattern of Na2Hg2TeSe2 (a structure optimized by DFT (PBE); copper Kα).

Atomic structure:
Unit cell a=4.328 b=6.984 c=7.778 alpha=66.73 beta=86.88 gamma=78.82
Sites, in units of the cell vectors:
Na 0.095 0.168 0.239
Na 0.905 0.832 0.761
Hg 0.264 0.619 0.298
Hg 0.736 0.381 0.702
Te 0.500 0.500 0.000
Se 0.278 0.201 0.608
- - -
12 approach, come near, come on, demand, draw close, draw near, exhort, go up, near, press, urge, urge on.
13 assume, believe, call back, call up, cerebrate, cogitate, conceive, conjecture, consider, deem, doubt, experience, feel, find, guess, hold, hope, hypothecate, hypothesise, hypothesize, imagine, intend, love, mean, opine, presume, recall, reckon, recollect, regard, remember, retrieve, see, speculate, suppose, surmise, suspect, take for, take for granted, theorise, theorize, think, think about, trust, view, view as.
14 bang, be intimate, bed, bonk, bosom, do it, eff, embrace, entertain, experience, feel, fuck, get, get it on, get laid, harbor, harbour, have, have a go at it, have intercourse, have it away, have it off, have sex, hold, hug, hump, jazz, know, lie with, love, make love, make out, nurse, receive, roll in the hay, screw, sleep together, sleep with, squeeze, take hold.
15 bask, enjoy, experience, feel, get, go through, have, receive, relish, savor, savour, see, taste.
16 bear, carry, endure, entertain, go, harbor, harbour, have, have got, hold, hold out, hold up, keep, last, live, live on, nurse, own, pack, possess, stay fresh, survive, take, take hold, wear.
17 bemoan, bewail, comprehend, deplore, experience, feel, find, know, lament, live, perceive, regret, repent, rue.
18 beset, chevvy, chevy, chivvy, chivy, exhort, harass, harry, hassle, molest, plague, press, provoke, urge, urge on.
21 cause, egg on, exhort, get, have, incite, induce, inspire, instigate, make, press, prod, prompt, stimulate, urge, urge on.
23 dig, egg on, exhort, incite, instigate, jab, nudge, poke, poke at, press, prod, set off, stab, stir up, urge, urge on.